Request >
Please filter the lines below: keep the lines with the word "energy".

Given >
-- begin --
The following is a DFT calculation (the ωB97M-V functional and the def2-TZVPD basis) of a cluster of 2 separate species, C3H8INOS in total at a distorted geometry.

Summary:
Energy relative to the best compared isomer or geometry (same formula, charge and spin)   369.7 kJ/mol
HOMO energy (alpha / beta)   -7.784 / -8.417 eV
HOMO-LUMO gap (alpha / beta)   6.5 / 7.9 eV

```
! wB97M-V def2-TZVPD RIJCOSX def2/J DEFGRID3
* xyz 0 1
C 1.063 2.212 -0.006
C -0.825 -2.299 0.100
C 1.086 0.796 0.442
N -0.819 0.246 -0.953
O -2.264 -0.197 1.048
S -1.914 -0.761 -0.275
I 2.552 -0.534 0.039
H 0.127 2.596 -0.146
H 1.495 2.826 0.822
H 1.628 2.266 -0.863
H 0.022 -2.199 0.903
H -0.470 -2.513 -0.916
H -1.679 -2.935 0.423
H 0.410 0.558 1.163
H -0.412 -0.064 -1.781
*
```

What are the natural (NBO) partial charges on each atom? They are as follows, in elementary charge units:
1. C -0.68
2. C -0.82
3. C -0.17
4. N -0.92
5. O -0.97
6. S 1.42
7. I 0.24
8. H 0.25
9. H 0.23
10. H 0.21
11. H 0.24
12. H 0.21
13. H 0.23
14. H 0.19
15. H 0.35

The following is a DFT calculation (the ωB97M-V functional and the def2-TZVPD basis) of the ion C5H12NO with charge +1 at a distorted geometry.

Summary:
Energy relative to the best compared isomer or geometry (same formula, charge and spin)   223.9 kJ/mol
HOMO energy   -13.717 eV
HOMO-LUMO gap   10.2 eV
SMILES   C[C@H]([NH3+])CCC=O

```
! wB97M-V def2-TZVPD RIJCOSX def2/J DEFGRID3
* xyz 1 1
C 2.059 1.187 -0.274
C 0.716 0.582 0.394
N 0.945 -0.562 1.472
C -0.250 0.048 -0.725
C -1.879 0.035 -0.618
C -2.372 -1.359 -0.308
O -2.159 -1.923 0.750
H 2.531 1.879 0.490
H 1.823 1.948 -1.033
H 2.864 0.366 -0.433
H 0.163 1.364 0.748
H 1.472 -1.302 1.080
H -0.040 -0.900 1.912
H 1.594 -0.273 2.158
H 0.101 -0.999 -1.191
H 0.062 0.594 -1.690
H -2.459 0.179 -1.559
H -2.208 0.978 -0.130
H -2.964 -1.842 -1.043
*
```

What are the natural (NBO) partial charges on each atom? They are as follows, in elementary charge units:
1. C -0.65
2. C -0.04
3. N -0.70
4. C -0.45
5. C -0.55
6. C 0.44
7. O -0.53
8. H 0.24
9. H 0.27
10. H 0.24
11. H 0.22
12. H 0.43
13. H 0.50
14. H 0.43
15. H 0.23
16. H 0.27
17. H 0.25
18. H 0.26
19. H 0.15

The following is a DFT calculation (the ωB97M-V functional and the def2-TZVPD basis) of a cluster of 2 separate species, C23H18N3 in total at a distorted geometry.

Summary:
Energy relative to the best compared isomer or geometry (same formula, charge and spin)   338.2 kJ/mol
HOMO energy   -11.184 eV
HOMO-LUMO gap   5.7 eV

```
! wB97M-V def2-TZVPD RIJCOSX def2/J DEFGRID3
* xyz 1 1
C 2.290 -0.685 2.598
N 3.177 0.161 3.182
N 4.136 0.713 3.527
C 0.912 -0.497 2.969
C 0.001 -1.574 3.087
C -1.341 -1.324 3.328
C -1.806 -0.006 3.453
C -3.222 0.235 3.580
N -4.379 0.404 3.652
C -0.895 1.060 3.422
C 0.454 0.815 3.207
H 2.632 -1.699 2.308
H 0.375 -2.598 3.020
H -2.054 -2.145 3.422
H -1.247 2.083 3.566
H 1.169 1.643 3.218
C 3.000 -0.642 0.267
C 4.425 -0.839 0.398
C 5.241 0.213 0.878
C 6.601 0.027 1.074
C 7.201 -1.202 0.759
C 6.422 -2.236 0.220
C 5.053 -2.060 0.033
C 2.237 -1.454 -0.582
C 0.928 -1.176 -0.949
C 0.125 -2.049 -1.751
C -1.176 -1.635 -2.141
C -2.014 -2.482 -2.851
C -1.575 -3.763 -3.226
C -0.276 -4.175 -2.896
C 0.573 -3.335 -2.180
H 2.569 0.332 0.540
H 4.792 1.195 1.043
H 7.204 0.844 1.471
H 8.265 -1.359 0.936
H 6.882 -3.184 -0.068
H 4.461 -2.873 -0.399
H 2.713 -2.328 -1.031
H 0.500 -0.212 -0.658
H -1.506 -0.635 -1.853
H -3.021 -2.157 -3.114
H -2.236 -4.439 -3.768
H 0.081 -5.165 -3.190
H 1.581 -3.664 -1.925
*
```

What are the natural (NBO) partial charges on each atom? They are as follows, in elementary charge units:
1. C -0.27
2. N 0.07
3. N 0.13
4. C 0.02
5. C -0.24
6. C -0.13
7. C -0.17
8. C 0.25
9. N -0.26
10. C -0.15
11. C -0.23
12. H 0.27
13. H 0.23
14. H 0.24
15. H 0.24
16. H 0.22
17. C 0.02
18. C -0.08
19. C -0.18
20. C -0.20
21. C -0.14
22. C -0.21
23. C -0.17
24. C -0.35
25. C 0.03
26. C -0.07
27. C -0.15
28. C -0.22
29. C -0.13
30. C -0.20
31. C -0.16
32. H 0.24
33. H 0.23
34. H 0.24
35. H 0.24
36. H 0.24
-- stop --

Worked solution >
HOMO energy (alpha / beta)   -7.784 / -8.417 eV
HOMO energy   -13.717 eV
HOMO energy   -11.184 eV